<<<
Record 1
An optimized crystal structure of Sr3FeCoCl2O4. Source: the Materials Project, functional PBE with a Hubbard U.

Computed properties:
* ΔH_f (0 K): -2.29 eV per atom
* SG: I4mm (107)
* energy with MP2020 corrections: -6.306 eV per atom

```
data_Sr3FeCoCl2O4
_space_group_name_H-M_alt 'P 1'
_space_group_IT_number 1
_space_group_name_Hall 'P 1'
_cell_length_a 11.6282
_cell_length_b 11.6282
_cell_length_c 11.6282
_cell_angle_alpha 159.74
_cell_angle_beta 159.74
_cell_angle_gamma 28.80
loop_
_atom_site_label
_atom_site_type_symbol
_atom_site_fract_x
_atom_site_fract_y
_atom_site_fract_z
Sr1 Sr 0.0000 0.0000 0.0000
Sr2 Sr 0.1473 0.1473 0.0000
Sr3 Sr 0.3009 0.3009 0.0000
Fe1 Fe 0.7236 0.7236 0.0000
Co1 Co 0.5706 0.5706 0.0000
Cl1 Cl 0.4524 0.4524 0.0000
Cl2 Cl 0.8558 0.8558 0.0000
O1 O 0.0732 0.5732 0.5000
O2 O 0.2274 0.7274 0.5000
O3 O 0.5732 0.0732 0.5000
O4 O 0.7274 0.2274 0.5000
```

=====

Record 2
An optimized crystal structure of LiCrFeO4. Source: the Materials Project, functional PBE with a Hubbard U.

Computed properties:
* ΔH_f (0 K): -1.95 eV per atom
* SG: P4_322 (95)
* energy with MP2020 corrections: -7.640 eV per atom

```
data_LiCrFeO4
_space_group_name_H-M_alt 'P 1'
_space_group_IT_number 1
_space_group_name_Hall 'P 1'
_cell_length_a 5.8777
_cell_length_b 5.8777
_cell_length_c 8.3803
_cell_angle_alpha 90.00
_cell_angle_beta 90.00
_cell_angle_gamma 90.00
loop_
_atom_site_label
_atom_site_type_symbol
_atom_site_fract_x
_atom_site_fract_y
_atom_site_fract_z
Li1 Li 0.0000 0.2315 0.0000
Li2 Li 0.0000 0.7685 0.5000
Li3 Li 0.2315 0.0000 0.2500
Li4 Li 0.7685 0.0000 0.7500
Cr1 Cr 0.2351 0.5000 0.2500
Cr2 Cr 0.5000 0.2351 0.0000
Cr3 Cr 0.5000 0.7649 0.5000
Cr4 Cr 0.7649 0.5000 0.7500
Fe1 Fe 0.2559 0.2559 0.6250
Fe2 Fe 0.2559 0.7441 0.8750
Fe3 Fe 0.7441 0.2559 0.3750
Fe4 Fe 0.7441 0.7441 0.1250
O1 O 0.0163 0.2681 0.2567
O2 O 0.0163 0.7319 0.2433
O3 O 0.2665 0.4810 0.0125
O4 O 0.2665 0.5190 0.4875
O5 O 0.2681 0.0163 0.9933
O6 O 0.2681 0.9837 0.5067
O7 O 0.4810 0.2665 0.2375
O8 O 0.4810 0.7335 0.2625
O9 O 0.5190 0.2665 0.7625
O10 O 0.5190 0.7335 0.7375
O11 O 0.7319 0.0163 0.0067
O12 O 0.7319 0.9837 0.4933
O13 O 0.7335 0.4810 0.9875
O14 O 0.7335 0.5190 0.5125
O15 O 0.9837 0.2681 0.7433
O16 O 0.9837 0.7319 0.7567
```

=====

Record 3
An optimized crystal structure of Mn3ZnP4O14. Source: the Materials Project, functional PBE with a Hubbard U.

Computed properties:
* ΔH_f (0 K): -2.48 eV per atom
* SG: P2_1/c (14)
* energy with MP2020 corrections: -7.918 eV per atom

```
data_Mn3ZnP4O14
_space_group_name_H-M_alt 'P 1'
_space_group_IT_number 1
_space_group_name_Hall 'P 1'
_cell_length_a 7.5296
_cell_length_b 7.5419
_cell_length_c 9.9022
_cell_angle_alpha 90.00
_cell_angle_beta 113.43
_cell_angle_gamma 90.00
loop_
_atom_site_label
_atom_site_type_symbol
_atom_site_fract_x
_atom_site_fract_y
_atom_site_fract_z
Mn1 Mn 0.0000 0.0000 0.0000
Mn2 Mn 0.0000 0.5000 0.5000
Mn3 Mn 0.1916 0.1210 0.5248
Mn4 Mn 0.1916 0.3790 0.0248
Mn5 Mn 0.8084 0.6210 0.9752
Mn6 Mn 0.8084 0.8790 0.4752
Zn1 Zn 0.5000 0.0000 0.0000
Zn2 Zn 0.5000 0.5000 0.5000
P1 P 0.1489 0.7109 0.8173
P2 P 0.1489 0.7891 0.3173
P3 P 0.4081 0.0886 0.2984
P4 P 0.4081 0.4114 0.7984
P5 P 0.5919 0.5886 0.2016
P6 P 0.5919 0.9114 0.7016
P7 P 0.8511 0.2109 0.6827
P8 P 0.8511 0.2891 0.1827
O1 O 0.0341 0.7213 0.6506
O2 O 0.0341 0.7787 0.1506
O3 O 0.0401 0.6031 0.8918
O4 O 0.0401 0.8969 0.3918
O5 O 0.2229 0.6137 0.4012
O6 O 0.2229 0.8863 0.9012
O7 O 0.2761 0.1219 0.1334
O8 O 0.2761 0.3781 0.6334
O9 O 0.3414 0.6010 0.8400
O10 O 0.3414 0.8990 0.3400
O11 O 0.3769 0.2270 0.4004
O12 O 0.3769 0.2730 0.9004
O13 O 0.3870 0.5513 0.1845
O14 O 0.3870 0.9487 0.6845
O15 O 0.6130 0.0513 0.3155
O16 O 0.6130 0.4487 0.8155
O17 O 0.6231 0.7270 0.0996
O18 O 0.6231 0.7730 0.5996
O19 O 0.6586 0.1010 0.6600
O20 O 0.6586 0.3990 0.1600
O21 O 0.7239 0.6219 0.3666
O22 O 0.7239 0.8781 0.8666
O23 O 0.7771 0.1137 0.0988
O24 O 0.7771 0.3863 0.5988
O25 O 0.9599 0.1031 0.6082
O26 O 0.9599 0.3969 0.1082
>>>

Your job: search the calculation results further up for the word "O14" and retype each line that has it.

O14 O 0.7335 0.5190 0.5125
O14 O 0.3870 0.9487 0.6845